**Material:**
[1]
ORCA calculation (ωB97M-V with the def2-TZVPD basis set) on an isolated ion of composition C3H7ClNO3S and charge -1 in a non-equilibrium geometry.

Structure (XYZ):
```
16
C3H7ClNO3S, DFT ωB97M-V with the def2-TZVPD basis set
C 0.50 -0.78 -1.23
C 0.59 -0.46 1.45
C 0.28 0.05 0.03
N 0.65 1.41 0.00
O -2.23 -1.22 -0.16
O -2.17 1.02 -1.23
O -2.35 0.83 1.24
S -1.88 0.22 -0.02
Cl 2.53 1.69 -0.10
H 0.20 -0.12 -2.12
H -0.11 -1.60 -1.04
H 1.57 -0.94 -1.64
H 0.55 0.23 2.20
H 1.60 -0.97 1.67
H -0.13 -1.16 1.76
H 0.39 1.81 -0.82
```

**Net charge**: -1
**Strongest force on any atom**: 4.17 eV Å⁻¹
**2S+1**: 1
**SMILES**: CC(C)(NCl)S(=O)(=O)[O-]
**ΔE to the lowest compared entry with this formula, charge and spin**: 46.3 kcal/mol
**LUMO level**: 3.14 eV


[2]
ORCA calculation (ωB97M-V with the def2-TZVPD basis set) on C3H7ClNOPt as an isolated structure in a non-equilibrium geometry.

Structure (XYZ):
```
14
C3H7ClNOPt, DFT ωB97M-V with the def2-TZVPD basis set
Pt -1.98 1.95 -4.15
Cl -0.74 0.12 -3.05
C -0.27 -2.05 0.88
C 0.40 -0.62 1.09
O 1.00 -0.47 2.17
N 0.28 0.31 0.12
C 0.70 1.71 0.23
H -0.05 -2.65 0.00
H -1.36 -1.93 0.94
H 0.03 -2.73 1.68
H -0.31 0.12 -0.68
H -0.23 2.22 0.47
H 1.05 2.21 -0.67
H 1.48 1.81 0.98
```

**Net charge**: +1
**Strongest force on any atom**: 3.95 eV Å⁻¹
**2S+1**: 3
**ΔE to the lowest compared entry with this formula, charge and spin**: 7.8 kcal/mol
**LUMO level (spin up / spin down)**: -5.01 / -8.49 eV


Question: Which value of strongest force on any atom does entry 1 give?
Answer: 4.17 eV Å⁻¹

* * * * *

No. 1
A molecular structure, C46H32Cl5GaNO2P2, computed with the ωB97M-V functional and the def2-TZVPD basis.

Values from the calculation:
Relative energy (zero: lowest compared OMol25 entry of this formula, charge and spin), eV: 0.000
E_HOMO, eV: -10.79
Kohn-Sham gap, eV: 8.45
Total charge: +1

Each line ends with the Löwdin charge.
Geometry (Å):
1 Ga 0.46 0.18 -0.08  0.49
2 O -0.62 -1.28 0.87  -0.32
3 P -1.28 -1.66 2.18  0.79
4 C -1.69 -0.20 3.16  -0.28
5 P -0.48 1.15 3.15  0.77
6 O 0.16 1.25 1.79  -0.34
7 C -1.39 2.61 3.58  -0.28
8 C -2.55 2.58 4.35  -0.08
9 C -3.19 3.77 4.69  -0.06
10 C -2.66 4.98 4.26  -0.06
11 C -1.51 5.01 3.49  -0.06
12 C -0.87 3.83 3.14  -0.05
13 C 0.71 0.84 4.45  -0.29
14 C 0.33 0.88 5.79  -0.08
15 C 1.25 0.57 6.78  -0.06
16 C 2.55 0.23 6.42  -0.05
17 C 2.94 0.20 5.09  -0.04
18 C 2.01 0.51 4.10  -0.04
19 C -0.39 -2.82 3.19  -0.31
20 C -0.21 -4.10 2.64  -0.11
21 C 0.47 -5.07 3.36  -0.06
22 C 0.97 -4.77 4.62  -0.05
23 C 0.79 -3.51 5.17  -0.05
24 C 0.11 -2.53 4.45  -0.06
25 C -2.86 -2.41 1.82  -0.29
26 C -3.31 -2.43 0.50  -0.05
27 C -4.54 -2.99 0.20  -0.06
28 C -5.32 -3.54 1.21  -0.06
29 C -4.87 -3.53 2.53  -0.06
30 C -3.64 -2.97 2.84  -0.07
31 H -1.99 -0.49 4.17  0.09
32 H -2.57 0.21 2.66  0.08
33 H -2.98 1.64 4.68  0.10
34 H -4.09 3.75 5.29  0.11
35 H -3.16 5.91 4.53  0.11
36 H -1.11 5.96 3.14  0.11
37 H 0.02 3.85 2.52  0.11
38 H -0.68 1.17 6.07  0.11
39 H 0.96 0.61 7.82  0.11
40 H 3.27 -0.01 7.20  0.11
41 H 3.96 -0.05 4.82  0.11
42 H 2.30 0.50 3.06  0.09
43 H -0.60 -4.33 1.66  0.12
44 H 0.60 -6.06 2.93  0.11
45 H 1.50 -5.53 5.18  0.11
46 H 1.19 -3.28 6.15  0.11
47 H -0.01 -1.55 4.89  0.08
48 H -2.69 -1.98 -0.27  0.11
49 H -4.89 -3.01 -0.83  0.11
50 H -6.28 -3.98 0.97  0.11
51 H -5.48 -3.96 3.31  0.11
52 H -3.29 -2.99 3.86  0.11
53 Cl 2.30 -2.67 1.11  0.78
54 C 3.03 -1.10 1.07  -0.68
55 C 2.33 -0.04 0.53  -0.26
56 C 3.01 1.18 0.46  -0.65
57 Cl 2.17 2.51 -0.29  0.77
58 C 4.29 1.37 0.96  -0.70
59 Cl 5.04 2.91 0.86  0.72
60 C 4.94 0.29 1.55  -0.71
61 Cl 6.51 0.49 2.22  0.71
62 C 4.31 -0.95 1.59  -0.71
63 Cl 5.12 -2.29 2.31  0.70
64 C -3.34 1.78 -1.06  -0.06
65 C -3.25 1.90 -2.44  -0.06
66 C -2.07 1.56 -3.09  -0.02
67 C -0.99 1.09 -2.34  -0.17
68 C -1.07 0.95 -0.96  -0.14
69 C -2.26 1.31 -0.33  -0.09
70 C 0.31 0.71 -2.99  -0.21
71 C 0.70 1.26 -4.23  0.01
72 C 1.93 0.95 -4.73  0.02
73 C 2.77 0.04 -4.03  -0.15
74 C 4.04 -0.36 -4.52  -0.02
75 C 4.78 -1.28 -3.85  -0.06

**Request:**
Type out the material earlier on from the first line to the one with "5.79" word for word.

**Done:**
[1]
ORCA calculation (ωB97M-V with the def2-TZVPD basis set) on an isolated ion of composition C3H7ClNO3S and charge -1 in a non-equilibrium geometry.

Structure (XYZ):
```
16
C3H7ClNO3S, DFT ωB97M-V with the def2-TZVPD basis set
C 0.50 -0.78 -1.23
C 0.59 -0.46 1.45
C 0.28 0.05 0.03
N 0.65 1.41 0.00
O -2.23 -1.22 -0.16
O -2.17 1.02 -1.23
O -2.35 0.83 1.24
S -1.88 0.22 -0.02
Cl 2.53 1.69 -0.10
H 0.20 -0.12 -2.12
H -0.11 -1.60 -1.04
H 1.57 -0.94 -1.64
H 0.55 0.23 2.20
H 1.60 -0.97 1.67
H -0.13 -1.16 1.76
H 0.39 1.81 -0.82
```

**Net charge**: -1
**Strongest force on any atom**: 4.17 eV Å⁻¹
**2S+1**: 1
**SMILES**: CC(C)(NCl)S(=O)(=O)[O-]
**ΔE to the lowest compared entry with this formula, charge and spin**: 46.3 kcal/mol
**LUMO level**: 3.14 eV


[2]
ORCA calculation (ωB97M-V with the def2-TZVPD basis set) on C3H7ClNOPt as an isolated structure in a non-equilibrium geometry.

Structure (XYZ):
```
14
C3H7ClNOPt, DFT ωB97M-V with the def2-TZVPD basis set
Pt -1.98 1.95 -4.15
Cl -0.74 0.12 -3.05
C -0.27 -2.05 0.88
C 0.40 -0.62 1.09
O 1.00 -0.47 2.17
N 0.28 0.31 0.12
C 0.70 1.71 0.23
H -0.05 -2.65 0.00
H -1.36 -1.93 0.94
H 0.03 -2.73 1.68
H -0.31 0.12 -0.68
H -0.23 2.22 0.47
H 1.05 2.21 -0.67
H 1.48 1.81 0.98
```

**Net charge**: +1
**Strongest force on any atom**: 3.95 eV Å⁻¹
**2S+1**: 3
**ΔE to the lowest compared entry with this formula, charge and spin**: 7.8 kcal/mol
**LUMO level (spin up / spin down)**: -5.01 / -8.49 eV


Question: Which value of strongest force on any atom does entry 1 give?
Answer: 4.17 eV Å⁻¹

* * * * *

No. 1
A molecular structure, C46H32Cl5GaNO2P2, computed with the ωB97M-V functional and the def2-TZVPD basis.

Values from the calculation:
Relative energy (zero: lowest compared OMol25 entry of this formula, charge and spin), eV: 0.000
E_HOMO, eV: -10.79
Kohn-Sham gap, eV: 8.45
Total charge: +1

Each line ends with the Löwdin charge.
Geometry (Å):
1 Ga 0.46 0.18 -0.08  0.49
2 O -0.62 -1.28 0.87  -0.32
3 P -1.28 -1.66 2.18  0.79
4 C -1.69 -0.20 3.16  -0.28
5 P -0.48 1.15 3.15  0.77
6 O 0.16 1.25 1.79  -0.34
7 C -1.39 2.61 3.58  -0.28
8 C -2.55 2.58 4.35  -0.08
9 C -3.19 3.77 4.69  -0.06
10 C -2.66 4.98 4.26  -0.06
11 C -1.51 5.01 3.49  -0.06
12 C -0.87 3.83 3.14  -0.05
13 C 0.71 0.84 4.45  -0.29
14 C 0.33 0.88 5.79  -0.08